Combat Women’s Veterans Retreat
How Did the Retreat Go?
– Always a relaxing and bonding retreat, love the very peaceful Genesis Retreat facility.
– These retreats provide me with much needed breaks from my hectic life. I appreciate the Art and Holistic and Wellness therapies and sessions od self-awareness. I especially appreciate the opportunity to share stories of triumph and challenges with other women Veterans. Massage was very beneficial, loosened tense muscles and I encourage others to take advantage of these retreats.
– Reflexology was a new experience I didn’t know anything about it, and it was the most relaxing thing.
– The most beneficial activity was having a safe place to let go of emotions and create space for new things. I really enjoyed the “Insight Timer” app that was shared with us.
– The most beneficial activity was the rest, relaxation and meeting all the interesting and strong women Veterans. Everyone was great, Donna and Sue were excellent and very friendly. The activities were very interesting and relaxing, and I look forward to attending another retreat.
– The most beneficial activity was Massage, Meditation, Yoga and Breathing Exercise.
– The most beneficial activity was the Red Cross Workshops, interesting activities, and beneficial exercises to help refocus. Donna and Susan were great in ensuring everything ran smoothly and everyone know what was going on and where. The workshops and wellness activities were great and well suited to exposing us to things we hadn’t tried or experienced before. The retreat was great, and I enjoyed the fellowship with other combat women Veterans.
– The most beneficial activity was connecting with other Women Veterans. I went from feeling like an island to feeling like a community. it was relaxing and I learned a lot, it helped me see things differently.
This retreat is now full
Are you a Combat woman Veteran looking to spend time with other female Veterans and discuss issues unique to female Veterans? If so, this Project New Hope Inc. retreat may be right for you. Workshops discussing such topics as Wellness through lifestyle changes, techniques for coping with trauma caused by sexual assault, moral injury or other traumatic events and resiliency.
(What Documents May I Need to Show That I Was in Combat?) A Combat Action Badge, Combat Medical Badge, Combat Infantry Badge, Medal of Honor, and Purple Heart are just a few examples. You can also offer proof that you got hazardous duty pay to prove your service in a war.
In addition to workshops, the retreat will include a variety of Holistic sessions such as – Acupuncture, Massage, Meditation, Reiki, Reflexology and timeout for self-discovery and personal growth.
Lodging, meals, and activities are all provided at no cost to participant, there is a $50 dollar registration fee that is refunded one week after completion of retreat. You must arrange your own transportation to and from Westfield, MA.
Please send questions to Sue at or call (508) 762-9738
Misplaced records of molecules:
~~~
Arrangement A

The following is a quantum chemistry calculation of CN2O3S as an isolated structure, from the Open Molecules 2025 dataset.

ORCA input file:
```
! RIJCOSX wB97M-V def2-TZVPD def2/J DEFGRID3
* xyz 0 1
C -0.39270 -0.69026 -0.02571
N 1.16990 -1.01016 0.99016
N -0.45285 0.59477 -0.74728
O 1.92650 -0.14516 1.18705
O 0.54623 0.96805 -1.29441
O -1.47484 1.26888 -0.54405
S -1.31696 -1.99252 0.18594
*
```

Values from the calculation:
- gap between HOMO and LUMO (alpha / beta) (hartree) = 0.267 / 0.267

---

Arrangement B

The following is a quantum chemistry calculation of one molecule with the formula CN2O3S, from the Open Molecules 2025 dataset.

ORCA input file:
```
! RIJCOSX wB97M-V def2-TZVPD def2/J DEFGRID3
* xyz 0 1
C -1.25036 0.40820 0.11151
N -0.02073 0.80796 -0.08488
N -2.26658 -0.17295 -0.00302
O 1.05490 -0.04210 0.03055
O 3.28317 -0.94395 -0.02906
O -3.44816 -0.42253 0.03172
S 2.64775 0.36536 -0.05681
*
```

Values from the calculation:
- gap between HOMO and LUMO (alpha / beta) (hartree) = 0.262 / 0.305

---

Short version: arrangement B, arrangement A, most stable first.

---

Arrangement A

The following is a quantum chemistry calculation of a 9-piece molecular cluster, C36H99N9O9 overall, from the Open Molecules 2025 dataset.

ORCA input file:
```
! RIJCOSX wB97M-V def2-TZVPD def2/J DEFGRID3
* xyz 0 1
C 4.22078 0.52601 -3.73477
O 3.28510 -0.26175 -3.00263
C 3.66596 -1.62233 -2.92766
C 4.95010 -1.91992 -2.12792
C 5.16630 -3.43122 -2.07251
N 4.77338 -1.41509 -0.74423
H 4.39248 0.15837 -4.74590
H 5.19113 0.68976 -3.25660
H 3.77102 1.51878 -3.72377
H 2.84193 -2.05613 -2.34953
H 3.71978 -2.07570 -3.92561
H 5.77392 -1.43680 -2.65834
H 5.27826 -3.80731 -3.09412
H 4.31007 -3.92109 -1.60841
H 6.08708 -3.73983 -1.57972
H 4.06275 -2.03419 -0.33404
H 4.22883 -0.55735 -0.86016
C -5.50009 -2.49181 -1.21507
O -4.63262 -1.38772 -1.18109
C -4.35051 -0.96779 0.14861
C -3.37882 0.20866 0.08531
C -2.84792 0.58076 1.47886
N -4.05379 1.41448 -0.41817
H -6.48454 -2.11201 -0.90650
H -5.23470 -3.33852 -0.56643
H -5.52706 -2.91697 -2.21847
H -5.23422 -0.72847 0.75238
H -3.84861 -1.83493 0.59935
H -2.57474 -0.08846 -0.58600
H -3.53130 1.22373 2.03078
H -1.92520 1.14383 1.32985
H -2.61749 -0.32665 2.04119
H -4.82295 1.58979 0.22988
H -4.58540 1.16066 -1.25463
C -3.31631 -2.13859 -8.20617
O -2.58315 -2.27604 -7.01185
C -2.38398 -1.03144 -6.36732
C -1.61618 -1.27128 -5.07728
C -2.56591 -1.79489 -4.00327
N -1.10977 0.02463 -4.60185
H -3.26697 -3.03091 -8.82327
H -3.09637 -1.23616 -8.78570
H -4.37113 -1.99506 -7.92089
H -1.76023 -0.37514 -6.98412
H -3.32938 -0.51212 -6.17050
H -0.75026 -1.91293 -5.23770
H -2.12602 -2.02220 -3.03446
H -3.16724 -2.64267 -4.35755
H -3.30377 -1.01349 -3.79685
H -1.83732 0.57992 -4.15648
H -0.46255 -0.06842 -3.81158
C 3.49753 7.30865 0.74183
O 3.14964 7.79825 2.01717
C 3.67993 9.07277 2.29364
C 2.91703 9.66144 3.45083
C 1.49371 10.08345 3.06436
N 3.65287 10.81628 3.98451
H 3.03060 6.33662 0.58993
H 4.57763 7.22548 0.61282
~~~
- March 24-26, 2023
- Genesis Spiritual Life & Conference Center
53 Mill Street
Westfield, MA 01085